When Do You Split Sixes In Blackjack

When you are dealt a “hard” 16 (no ace) when playing blackjack, the sight of either a 10 & 6 or a 9 & 7 can really make you feel like you’re walking a thin line between victory and defeat no. Splitting Pairs If a player's first two cards are of the same denomination, such as two jacks or two sixes, they may choose to treat them as two separate hands when their turn comes around. The amount of the original bet then goes on one of the cards, and an equal amount must be placed as a bet on the other card. Split the sixes versus a dealer 2 through 6. Otherwise take a hit.

In order to win at blackjack, players need to have solid knowledge of the game along with a reliable strategy. Even though the needed preparation for the game does require a lot of efforts and time, it surely pays off at the end. This is the reason why it is one of the most played casino games all over the world.

However, it is no secret that there are many gamblers who have been playing for years but lack many of the basic rules and don’t follow a strategy which dooms them to a certain loss in the long term. Even if they get lucky and win a sequence of hands, all of the money will be quickly lost as without discipline and the needed knowledge it’s impossible to keep them.

It is really important to be familiar with all of the possible hands and their outcomes to play the game efficiently. In many cases whenever players get a pair of 6s, their first thought is to split them. While it is true that splitting is appropriate with such a combination, they need to bear in mind that this is their best choice only in particular situations. In order to find which ones, we must take into account the dealer’s upcard and their two-card holding.

When Players Have a Pair of 6s

In general, getting a pair of 6s as the first two cards is not the best way to start the game. Thus, the most appropriate move in such situations aims at reducing the money loss to the minimum. The reason why is that a pair of 6s leaves players in a breaking position. In other words, their hand’s total is a hard 12, which can result in a bust with just one more hit on their behalf.

If they get any of the face cards or a 10, this will inevitably cause them to go bust and lose the hand. Therefore, having such a pair in their hand is a very delicate position to be in and it is of crucial importance for players to know how to handle it. Splitting should be made only if the dealer’s upcard is weak.

Players who are dealt this card holding have a choice from two viable moves. They can either split the pair and make an additional bet to cover the second hand or hit. Whichever decision they pick is influenced by the strength of the dealer’s exposed card, the deck number used at the table, and the availability of doubling down on pair splits. Consult with the chart below for the recommended basic strategy plays for a pair of 6s in pitch-dealt blackjack.

6-6 Basic Strategy for Single- and Double-Deck Blackjack
Players’ HandDealer’s Upcard
P = Split; H = Hit; Ph = Split if you can double down following a split, if not – hit

As you can see, single- and double-deck players must also split against the dealer’s 7 but only provided the house rules allow them to double after pair splits. If NDAS is in effect, you are better off hitting your hard 12 rather than splitting the 6s. The odds tend to slightly favour hitting 6s at NDAS tables instead of splitting.

Best Moves for Multi-Deck Games when the Dealer’s Upcard Is Weak

As already mentioned, a pair of 6s is a breaking hand and thus, it will be best to be split whenever the upcard of the dealer is from 2 through 6, hoping that at least one of the hands will have a strong total. The reason why is that due to the fact the dealer is in a breaking position, hitting will be inevitably their next move.

The odds of winning in this case are in favour of the players and thus, they should split this pair. Moreover, this way they will prevent themselves from going bust and losing the hand. Players can also take advantage of the weak position of the dealer by doubling down their bet as this situation gives them this favourable opportunity.

Splitting the 6s is a viable move against certain dealer upcards since it helps you decrease your average losses, boost your gains while in favourable spots, and transform bad starting hands into potentially winning ones.


One very good example is a player holding 6s against the dealer’s deuce. The 6s are a bad hand no matter how you choose to play them versus the deuce. Nonetheless, basic strategy recommends splitting with DAS rather than hitting since this move yields the lowest negative EV.

6-6 Basic Strategy in Multiple-Deck Blackjack
Players’ HandDealer’s Upcard
When Do You Split Sixes In Blackjack
P = Split; Ph = Split if you can double down after splitting, if not – hit; H = Hit

It is equally advantageous for players to resplit this pair should they happen to catch one or more 6s after the initial split. For instance, a player gets 6-6 versus a dealer who holds a 4. If another 6 falls on one of the two splits, the player should resplit again to form three individual hands. Many online variations of blackjack permit resplitting to as many as four separate hands. Thus, if splitting your 6s was the optimal play in the first place so is resplitting them against the given upcard.

Splitting a Pair of Aces
Splitting a Pair of 2’s or 3’s
Splitting a Pair of 4’s
Splitting a Pair of 5’s
Splitting a Pair of 6’s
Splitting a Pair of 7’s

Best Moves When the Dealer’s Upcard is 7 through Ace

Whenever players have a pair of 6s, there are cases when it is best not to split them and choose another move instead. Such situations occur when the dealer’s upcard is from a 7 through an ace as then, their best choice will be to hit.

This move is applied for the same reason as it is for the rest of the card pairs. Whenever the upcard of the dealer is powerful, players need to take into account their solid position and be extra careful. Splitting in this case will only result in two hands with very low chances of becoming decent ones. Expectation-wise, it is nonsensical to pour more money into splitting versus powerful upcards of the dealer.

Moreover, the odds that they can go bust are low as the only card that can cause them to is a 10, Queen, King, or Jack. If players try to understand the reason behind every move and its logic, it will be much easier for them to remember and apply the strategy.

Doubling Down after Splitting

There are a few important things players should consider before sitting at a table to play blackjack. As indicated previously, doubling down gives them the chance to increase their money bet whenever the dealer is in a weak position. Hence this move is often practised after splitting. You hope to catch a low-value card like 3, 4, or 5 that would allow for a potential successful double down on 10 or 11.

It is indeed a good opportunity for players if they know when to make it. This is the reason why many casinos have restrictions regarding doubling down after splitting. Having a pair of 6s in their hand is a very unfavourable position to start with and it is compulsory for players who want to win to be familiar with what their best move in a particular situation is.

One case that is worth mentioning is when the dealer’s upcard is a 2 as then players should split the pair if doubling down if allowed afterwards. The reason why is that whenever the dealer is in a weak position, players need to get as much money as possible and compensate for the times when they face powerful cards.


When Do You Split Sixes In Blackjack Machine

Prior to playing blackjack, players need to make sure they are familiar with the basic strategy and have the needed knowledge of the game if their priority is to win. There are a great number of things which they can work on and improve in order to master the game.

One of them is knowing the possible outcomes of every hand they can get and how to proceed accordingly. Splitting a pair of cards of the same rank is not an easy situation to be in even though many players underestimate it.

The following is a quantum chemistry calculation of a cluster of 2 separate species, CH6O in total in a non-equilibrium geometry, from the Open Molecules 2025 dataset.

Values from the calculation:
Charge: 0
HOMO-LUMO gap: 12.5 eV
E_LUMO: 0.9 eV

Element x y z (Å)
1 C 0.955 0.230 1.321
2 H 1.837 -0.112 0.759
3 H 0.042 -0.153 0.841
4 H 1.011 -0.145 2.354
5 H 0.931 1.329 1.331
6 O -1.935 -0.397 -1.995
7 H -1.620 -1.028 -2.681
8 H -1.220 0.276 -1.930

Charges in e, computed with Mulliken, in the same order as the atoms: atom 1 (C): -0.859, atom 2 (H): 0.221, atom 3 (H): 0.180, atom 4 (H): 0.239, atom 5 (H): 0.221, atom 6 (O): -0.653, atom 7 (H): 0.325, atom 8 (H): 0.326

The following is a quantum chemistry calculation of a structure of composition C5HF2MnO in a non-equilibrium geometry, from the Open Molecules 2025 dataset.

Values from the calculation:
Charge: +3
2S+1: 6
HOMO-LUMO gap (alpha / beta): 7.5 / 7.4 eV
<S²>: 8.756
E_LUMO (alpha / beta): -16.5 / -16.7 eV

Element x y z (Å)
1 C -0.235 1.253 3.075
2 C 0.779 0.594 2.513
3 F 2.042 0.597 2.585
4 O 0.212 0.512 1.127
5 C -0.166 0.310 0.052
6 C -2.186 -0.563 -3.682
7 C -2.720 0.393 -4.227
8 H -1.815 -1.584 -3.734
9 F -3.266 1.411 -4.671
10 Mn -1.744 0.157 -1.647

Charges in e, computed with Mulliken, in the same order as the atoms: atom 1 (C): 0.059, atom 2 (C): 0.666, atom 3 (F): -0.004, atom 4 (O): 0.157, atom 5 (C): 0.544, atom 6 (C): -0.744, atom 7 (C): 0.957, atom 8 (H): 0.552, atom 9 (F): -0.028, atom 10 (Mn): 0.840

The following is a quantum chemistry calculation of a structure of composition C51H113N2O3P2 in a non-equilibrium geometry, from the Open Molecules 2025 dataset.

Values from the calculation:
Charge: +4
2S+1: 2
HOMO-LUMO gap (alpha / beta): 9.7 / 4.0 eV
<S²>: 0.756
E_LUMO (alpha / beta): -7.1 / -12.9 eV

Element x y z (Å)
1 C 12.081 10.695 -6.180
2 C 11.696 11.756 -7.239
3 C 10.791 11.157 -8.355
4 C 10.382 12.259 -9.455
5 N 10.258 11.662 -10.840
6 C 9.304 10.401 -10.931
7 C 7.926 10.867 -10.757
8 C 7.910 12.280 -11.370
9 C 9.412 12.669 -11.768
10 C 11.674 11.446 -11.467
11 H 13.053 10.866 -5.715
12 H 12.218 9.756 -6.716
13 H 11.447 10.403 -5.343
14 H 12.663 12.150 -7.553
15 H 11.371 12.652 -6.709
16 H 9.946 10.674 -7.864
17 H 11.388 10.321 -8.720
18 H 11.239 12.907 -9.641
19 H 9.517 12.849 -9.153
20 H 9.375 9.996 -11.940
21 H 9.574 9.728 -10.117
22 H 7.105 10.178 -10.956
23 H 7.777 11.065 -9.695
24 H 7.157 12.288 -12.159
25 H 7.410 12.971 -10.692
26 H 9.514 12.312 -12.793
27 H 9.673 13.723 -11.676
28 H 12.221 12.384 -11.367
29 H 11.652 11.213 -12.532
30 H 12.132 10.679 -10.843
31 C 12.962 12.884 5.117
32 C 14.235 12.252 4.324
33 C 13.846 11.724 2.883
34 C 15.046 11.462 2.003
35 N 14.874 11.581 0.515
36 C 16.328 11.363 -0.052
37 C 16.911 12.714 -0.430
38 C 15.799 13.746 -0.242
39 C 14.508 13.002 -0.008
40 C 13.846 10.537 -0.045
41 H 12.069 12.268 5.223
42 H 12.713 13.808 4.595
43 H 13.395 13.092 6.095
44 H 14.564 11.414 4.938
45 H 15.052 12.972 4.359
46 H 13.222 12.515 2.468
End of the records of molecules:

There are many cases where it is best for players not to split but hit or double down instead as splitting will only leave them in an unfavourable situation. Moreover, having a pair of 6s as the first two cards is a breaking hand and it is of crucial importance for players to know what their best move is.

In blackjack, the option to split your cards can be vital in order to increase your chances of winning, and lowering the house edge. For long-term success, understanding the advantages, disadvantages and when to pounce on the opportunity to split, is crucial. Splitting, as explained on our terminology page, refers to the option of dividing our hand into two separate hands, upon being dealt a matching pair.

We can split our hand if we are dealt two cards of the same value. For example, we can split two Aces, two Fours or two Kings. Depending on the rules, some blackjack games allow us to split non-matching face cards, because they are still valued at 10 points. For instance, we might be allowed to split a King and a Queen.

When splitting, we must place an additional bet equal to our original wager to cover the second hand. Our original matching cards will then be physically separated from each other to form two hands, and we will then be dealt an additional card for each new hand. Now, we play out our hands one at a time, just as we would if we had bet two hands at the start of the round, and we can opt to hit, stand, double down and even split again if the opportunity arises (although some games do not allow us to split again after already having split).

# Data records that have nothing to do with the page
'''
Entry 1:
{
  "formula": "C5H9NO",
  "method": "the ωB97M-V functional and the def2-TZVPD basis",
  "homo_energy_ev": [-14.4, -14.1],
  "spin_multiplicity": 2,
  "relative_energy_kj_mol": 259.72,
  "s2": 0.756,
  "charge": 1,
  "max_force_ha_per_bohr": 0.0396,
  "homo_lumo_gap_ev": [10.2, 5.1],
  "total_energy_ha": -325.51664,
  "symbols": ["O", "C", "C", "C", "C", "C", "N", "H", "H", "H", "H", "H", "H", "H", "H", "H"],
  "coordinates": [[-1.3850, -1.6631, -1.0927], [-0.9298, -1.5827, -0.0019], [-0.7013, -0.1650, 0.6696], [0.0347, 0.7965, -0.3137], [1.2931, 0.1314, -0.7909], [2.4693, 0.4640, -0.2825], [-1.9810, 0.3078, 1.0677], [-0.5230, -2.4653, 0.5166], [-0.1003, -0.4071, 1.5517], [0.2078, 1.7563, 0.1739], [-0.6388, 0.9412, -1.1621], [1.1764, -0.5594, -1.6124], [3.3466, -0.0577, -0.6423], [2.7185, 1.3432, 0.3001], [-2.1773, 1.3064, 0.9433], [-2.8100, -0.1465, 0.6753]]
}

Entry 2:
{
  "formula": "C5H9NO2",
  "method": "the ωB97M-V functional and the def2-TZVPD basis",
  "homo_energy_ev": [-2.2, -2.8],
  "spin_multiplicity": 2,
  "relative_energy_kj_mol": 888.78,
  "s2": 0.756,
  "charge": -1,
  "max_force_ha_per_bohr": 0.1365,
  "homo_lumo_gap_ev": [5.4, 6.0],
  "total_energy_ha": -400.80846,
  "symbols": ["C", "C", "C", "N", "C", "C", "O", "O", "H", "H", "H", "H", "H", "H", "H", "H", "H"],
  "coordinates": [[-1.5325, 0.5063, -0.2669], [-2.8599, -0.0627, 0.2436], [-0.4687, -0.5150, -0.2709], [0.8649, 0.1169, -0.8131], [1.5512, 0.8987, 0.1448], [2.5909, 0.1503, 0.7086], [3.5656, -0.6506, 0.0851], [-0.6574, -1.7579, -0.6496], [-1.6468, 1.0769, -1.1870], [-0.6207, -0.0634, 0.8605], [-3.3947, -0.5119, -0.6449], [-3.3957, 0.6221, 0.9429], [-2.5366, -0.8928, 0.9220], [1.4348, -0.6546, -1.2012], [3.0755, 0.1466, -0.4657], [1.6273, 1.9440, -0.1301], [2.4030, -0.3527, 1.7218]]
}

Entry 3:
{
  "formula": "C5H9NO2",
  "method": "the ωB97M-V functional and the def2-TZVPD basis",
  "homo_energy_ev": -9.8,
  "relative_energy_kj_mol": 81.19,
  "charge": 0,
  "max_force_ha_per_bohr": 0.0310,
  "smiles": "CCC(=O)NCC=O",
  "homo_lumo_gap_ev": 10.5,
  "total_energy_ha": -401.14583,
  "symbols": ["C", "C", "C", "O", "N", "C", "C", "O", "H", "H", "H", "H", "H", "H", "H", "H", "H"],
  "coordinates": [[0.1119, 0.9960, -2.3270], [0.2606, 0.2034, -1.0417], [-0.9931, -0.3449, -0.4649], [-2.0737, -0.3403, -1.0254], [-0.9398, -0.8879, 0.8238], [0.2546, -1.0257, 1.6572], [0.6013, 0.2872, 2.3062], [1.6964, 0.7847, 2.2801], [0.0958, 0.4233, -3.2540], [0.9251, 1.7120, -2.3637], [-0.8459, 1.5138, -2.3717], [1.0534, -0.5581, -1.0998], [0.7878, 0.8196, -0.2990], [-1.8193, -1.3138, 1.0322], [1.0651, -1.2959, 0.9786], [0.0372, -1.8198, 2.3667], [-0.2174, 0.8462, 2.8024]]
}

Entry 4:
{
  "formula": "C5H9NO2",
  "method": "the ωB97M-V functional and the def2-TZVPD basis",
  "homo_energy_ev": -9.3,
  "relative_energy_kj_mol": 183.51,
  "charge": 0,
  "max_force_ha_per_bohr": 0.1338,
  "smiles": "C/C(O)=C(\\C)C(N)=O",
  "homo_lumo_gap_ev": 9.9,
  "total_energy_ha": -401.10686,
'''

Note: If you are playing in a land-based casino, you must refrain from touching your cards at all times.

Again, depending on the style of 21 we are playing, there can be some slight variations in the rules regarding splitting, but there is always a level of restriction to limit or balance the tactic. The main rule which changes from game to game is the continual splitting option, where if we receive two of the same cards and opt to split them, and then receive another card of the same value, we may or may not be able to split again (and again).

Blackjack for online players


Split cards in play

Most styles of blackjack will let you double down on split hands, and also re-split your hands further if the possibility arises. However, as explained, some casinos have rules which restrict additional options. Here are the two common rule variations:

  • If you split a pair of Aces, you will only be dealt one more additional card and you cannot hit, double down or split your hands any further and must work with the cards you’re dealt.
  • If you split your hand once, further splits or double downs are not allowed.

If we are playing a standard game of blackjack, then standard rules stipulate we can generally split our hands up to a maximum of three times, which would mean we would be playing a total of four hands. Having said that, always check the rules before you begin playing either online or at a B&R casino to avoid confusion. It is important to try and make sure you have enough chips left so if you are dealt a couple of hands in which you’d be best served to split, you aren’t out of cash.

When to split

A common misconception for many in regards to splitting cards is that they should do so every time they receive a matching pair of the same value. Like all blackjack moves, splitting should be carefully considered and the dealer’s up-card should always be taken in to consideration.

When Do You Split Sixes In Blackjack Terms

Splitting Aces

A pair of Aces is undoubtedly the most popular hand to split. By rule of thumb, we should always choose to split two Aces if we are dealt such a hand. In doing so, we are giving ourselves a greater chance to draw at least one blackjack hand. Alternately, if we opted to keep both Aces for a total value of either two or 12 points, this would eliminate and waste the potential for two separate hands reaching a natural blackjack. In some games, if we hit blackjack (whether it be after splitting or without splitting), we are paid out immediately, regardless of what the dealer has.

Note: Due to the popularity of splitting Aces in blackjack, should a split Ace be dealt a card valued at ten, some casinos and their rule variations will not regard that as a natural blackjack, and will not payout 3:2, but rather 1:1 Try to avoid such rules.